In order to evaluate measures to increase water availability in and around reservoirs it is necessary to have reliable reservoir water storage models. For that reason, it is necessary to assess the validity of these models. The aim of this research is to do this assessment of two
In order to evaluate measures to increase water availability in and around reservoirs it is necessary to have reliable reservoir water storage models. For that reason, it is necessary to assess the validity of these models. The aim of this research is to do this assessment of two models in data scarce semi- arid regions. The Nakamb ́e catchment is used as a case study. The study covers important aspects of hydrological modelling, such as model input (data) selection, hydrological model choice, calibration, model performance testing, parameter sensitivity, and reservoir water storage simulation.
/*
#one
CdIn2O4: relaxed, PBE.

Cell: 6.4841 6.6686 9.3205 Å, 90.00 90.00 90.00°
Closest atoms and distances in Å follow each position.
Space group Imma (No. 74)
Symmetry-distinct sites (fractional):
Cd 0.2500 0.2500 0.2500 (multiplicity 4)  6 O 2.31-2.35
In 0.0000 0.0000 0.0000 (multiplicity 4)  6 O 2.19-2.24
In 0.0000 0.2500 0.6336 (multiplicity 4)  4 O 2.10-2.13
O 0.0000 0.0048 0.2347 (multiplicity 8)  2 In 2.10-2.19, 2 Cd 2.31
O 0.2309 0.2500 0.9980 (multiplicity 8)  3 In 2.13-2.24, 1 Cd 2.35

=====

#two
CdIn2O4: relaxed, PBE.

Cell: 9.3307 9.3307 9.3307 Å, 90.00 90.00 90.00°
Closest atoms and distances in Å follow each position.
Space group Fd-3m (No. 227, origin choice 2)
Symmetry-distinct sites (fractional):
*/
End of the calculated crystals >
For the selection of the optimal model forcing data diverse precipitation products are reviewed: CHIRPS, ERA5, and local measurements. Among the evaluated datasets, CHIRPS emerges as the superior choice validated against the local measurements. With respect to the potential evaporation, the combination of ERA5 and local measurements results in the most suitable potential evaporation data, leveraging the temporal and spatial aspects of ERA5 and the absolute values of the local measurements.
Data records from another source follow
+++
Entry 1:
This record from the Materials Project describes KW3O9 after structural relaxation. The functional is PBE with a Hubbard U.

Cell and atoms, written as CIF:
```
data_KW3O9
_symmetry_space_group_name_H-M 'P 1'
_symmetry_Int_Tables_number 1
_symmetry_space_group_name_Hall 'P 1'
_cell_length_a 32.6167
_cell_length_b 32.6167
_cell_length_c 3.8534
_cell_angle_alpha 90.00
_cell_angle_beta 90.00
_cell_angle_gamma 166.84
loop_
_atom_site_label
_atom_site_type_symbol
_atom_site_fract_x
_atom_site_fract_y
_atom_site_fract_z
K1 K 0.0999 0.9001 0.0999
K2 K 0.6998 0.3002 0.1001
K3 K 0.3002 0.6998 0.1001
K4 K 0.9001 0.0999 0.0999
K5 K 0.5000 0.5000 0.9004
W1 W 0.5998 0.4002 0.5016
W2 W 0.4002 0.1005 0.5012
W3 W 0.1998 0.8002 0.5011
W4 W 0.8995 0.5998 0.5012
W5 W 0.5000 0.0000 0.5010
W6 W 0.0000 0.5000 0.5010
W7 W 0.8002 0.1998 0.5011
W8 W 0.5998 0.8995 0.5012
W9 W 0.1005 0.4002 0.5012
W10 W 0.4002 0.5998 0.5016
W11 W 0.7001 0.8004 0.5000
W12 W 0.1996 0.2999 0.5000
W13 W 0.0000 0.0000 0.4980
W14 W 0.2999 0.1996 0.5000
W15 W 0.8004 0.7001 0.5000
O1 O 0.0576 0.9424 0.4989
O2 O 0.3953 0.2378 0.4992
O3 O 0.7622 0.6047 0.4992
O4 O 0.5999 0.4001 0.9998
O5 O 0.4379 0.1958 0.4996
O6 O 0.1421 0.8579 0.4996
O7 O 0.4001 0.1004 0.0000
O8 O 0.8042 0.5621 0.4996
O9 O 0.6576 0.3424 0.4996
O10 O 0.3619 0.0045 0.4996
O11 O 0.1999 0.8001 0.0001
O12 O 0.8996 0.5999 0.0000
O13 O 0.9955 0.6381 0.4996
O14 O 0.4048 0.9629 0.4996
O15 O 0.2576 0.7424 0.4996
O16 O 0.5000 0.0000 0.9999
O17 O 0.0371 0.5952 0.4996
O18 O 0.7424 0.2576 0.4996
O19 O 0.0000 0.5000 0.9999
O20 O 0.5952 0.0371 0.4996
O21 O 0.9629 0.4048 0.4996
O22 O 0.8001 0.1999 0.0001
O23 O 0.6381 0.9955 0.4996
O24 O 0.5999 0.8996 0.0000
O25 O 0.0045 0.3619 0.4996
O26 O 0.5621 0.8042 0.4996
O27 O 0.8579 0.1421 0.4996
O28 O 0.1004 0.4001 0.0000
O29 O 0.3424 0.6576 0.4996
O30 O 0.6047 0.7622 0.4992
O31 O 0.1958 0.4379 0.4996
O32 O 0.7000 0.8003 0.0000
O33 O 0.4001 0.5999 0.9998
O34 O 0.9424 0.0576 0.4989
O35 O 0.2378 0.3953 0.4992
O36 O 0.1997 0.3000 0.0000
O37 O 0.7953 0.8378 0.5008
O38 O 0.1622 0.2047 0.5008
O39 O 0.4576 0.5424 0.5010
O40 O 0.0000 0.0000 0.0003
O41 O 0.8378 0.7953 0.5008
O42 O 0.2047 0.1622 0.5008
O43 O 0.3000 0.1997 0.0000
O44 O 0.5424 0.4576 0.5010
O45 O 0.8003 0.7000 0.0000
```

Computed properties:
Space group: Cmm2
Spin magnetization (μB per formula unit): 0.44
Energy of formation from the pure elements (eV per atom): -2.193

Entry 2:
This record from the Materials Project describes KW6O18 after structural relaxation. The functional is PBE with a Hubbard U.

Cell and atoms, written as CIF:
```
data_KW6O18
_symmetry_space_group_name_H-M 'P 1'
_symmetry_Int_Tables_number 1
_symmetry_space_group_name_Hall 'P 1'
_cell_length_a 7.5168
_cell_length_b 7.5168
_cell_length_c 7.7294
_cell_angle_alpha 90.00
_cell_angle_beta 90.00
_cell_angle_gamma 120.00
loop_
_atom_site_label
_atom_site_type_symbol
_atom_site_fract_x
_atom_site_fract_y
_atom_site_fract_z
K1 K 0.0000 0.0000 0.5000
W1 W 0.0000 0.5000 0.2495
+++
Comparing a lumped hydrological model (HBV) with a distributed model (SBM Wflow) in simulating river discharge reveals that the HBV model outperforms its counterpart in simulating discharge. This contrast in performance is attributed to potential overparameterization in the Wflow model, coupled with the complexities of parameter estimation in data-scarce areas. The HBV model, while bearing simplifications, benefits from a more comprehensive calibration process. The model performance is strongly influenced by the calibration efficiency, where the significantly shorter simulation time of the HBV model facilitates an extensive Monte Carlo sampling-based calibration, in contrast to Wflow’s time consuming manual parameter adjustment.
Additionally, the sensitivity analysis showed that in the HBV model, the parameters affecting actual evaporation are the most sensitive one. This emphasizes the importance of accurately simulating this component for the proper model performance. The Wflow model exhibits strong equifinality due to the many parameters within the model. The complexity of this model made it impossible to test all parameters and therefore only some parameters are tested.
Both reservoir water storage models studied, the HBV Reservoir Water Storage Model (HBV RWSM) and the Wflow reservoir module, can effectively simulate reservoir water storage fluctuations, although they differ in how the components are calculated. Due to data limitations, it is impossible to determine which, if any, of the models is correct. However, based on the downstream discharge the HBV RWSM displays a more promising performance.
• These materials data were left in the piece by mistake:
Density functional theory data (GGA-PBE) for an optimized crystal structure of AlZnB5H16C4N4O10.

Values from the calculation:
ΔE_f, eV/atom: -1.309
Crystal system: orthorhombic
Size of the total moment, Bohr magnetons per cell: 0.00
Volume, Å³/cell: 3168.5

Unit cell a=13.6331 b=14.0949 c=16.4890 alpha=90.00 beta=90.00 gamma=90.00
Closest atoms and distances in Å follow each position.
Space group Pbca (No. 61)
One atom of each set of equivalent atoms:
Al  0.2236  0.0668  0.1569 [8 per cell]  4 O 1.74-1.77
Zn  0.2090  0.6274  0.8938 [8 per cell]  1 O 2.10, 4 N 2.12-2.19
B  0.0105  0.1292  0.1393 [8 per cell]  3 O 1.35-1.42
B  0.1308  0.6739  0.4493 [8 per cell]  4 O 1.47-1.52
B  0.1573  0.6121  0.3084 [8 per cell]  3 O 1.35-1.40
B  0.1832  0.7071  0.0590 [8 per cell]  3 O 1.35-1.40
B  0.1850  0.6230  0.5894 [8 per cell]  3 O 1.35-1.41
H  0.0046  0.1598  0.9092 [8 per cell]  1 C 1.10
H  0.0122  0.0758  0.4209 [8 per cell]  1 C 1.10
H  0.0227  0.0965  0.5809 [8 per cell]  1 C 1.10
H  0.0442  0.6958  0.8242 [8 per cell]  1 N 1.02
H  0.0527  0.0687  0.8461 [8 per cell]  1 C 1.10
H  0.0589  0.0430  0.6743 [8 per cell]  1 C 1.10
H  0.0614  0.2215  0.7733 [8 per cell]  1 C 1.10
H  0.0774  0.0669  0.3281 [8 per cell]  1 C 1.10
H  0.0874  0.6090  0.7659 [8 per cell]  1 N 1.02
H  0.1242  0.2249  0.3553 [8 per cell]  1 C 1.10
H  0.1348  0.1483  0.9934 [8 per cell]  1 N 1.02
H  0.1374  0.0390  0.9624 [8 per cell]  1 N 1.03
H  0.1459  0.0013  0.4880 [8 per cell]  1 N 1.02
H  0.2053  0.0596  0.4157 [8 per cell]  1 N 1.03
H  0.2057  0.1250  0.7498 [8 per cell]  1 N 1.03
H  0.2448  0.2329  0.7648 [8 per cell]  1 N 1.02
C  0.0046  0.5616  0.8638 [8 per cell]  2 H 1.10
C  0.0603  0.0294  0.3848 [8 per cell]  2 H 1.10
C  0.0718  0.1330  0.8805 [8 per cell]  2 H 1.10
C  0.1134  0.2078  0.8230 [8 per cell]  2 H 1.10
N  0.0723  0.6287  0.8243 [8 per cell]  2 H 1.02
N  0.1455  0.1078  0.9426 [8 per cell]  2 H 1.02-1.03
N  0.1536  0.0077  0.4265 [8 per cell]  2 H 1.02-1.03
N  0.2103  0.1775  0.7928 [8 per cell]  2 H 1.02-1.03
O  0.0260  0.6736  0.4289 [8 per cell]  2 B 1.38-1.47
O  0.0557  0.5992  0.2997 [8 per cell]  2 B 1.40-1.42
O  0.1074  0.1170  0.1509 [8 per cell]  1 B 1.35
O  0.1530  0.6023  0.5125 [8 per cell]  2 B 1.37-1.48
O  0.1586  0.7278  0.9786 [8 per cell]  2 B 1.40-1.52
O  0.1904  0.7188  0.6145 [8 per cell]  2 B 1.39-1.41
O  0.1930  0.6534  0.3785 [8 per cell]  2 B 1.38-1.47
O  0.2023  0.6162  0.0793 [8 per cell]  1 B 1.35
O  0.2128  0.5567  0.6443 [8 per cell]  1 B 1.35
O  0.2206  0.5836  0.2506 [8 per cell]  1 B 1.35

---

Density functional theory data (GGA-PBE) for an optimized crystal structure of SnHgO3.

Values from the calculation:
ΔE_f, eV/atom: -1.455
Crystal system: trigonal
Size of the total moment, Bohr magnetons per cell: 0.00
Volume, Å³/cell: 397.0

Unit cell a=5.6738 b=5.6738 c=14.2398 alpha=90.00 beta=90.00 gamma=120.00
Closest atoms and distances in Å follow each position.
Space group R-3c (No. 167, hexagonal axes)
In conclusion, the HBV model outperformed the SBM Wflow model in simulating discharge due to its simplicity and ease of calibration. Sensitivity analyses highlighted the significance of accurately representing actual evaporation. Both water balance models, the HBV RWSM and the Wflow reservoir module, performed similarly concerning the NSE values. The fluxes contributing to the water balance in the two reservoir water storage models differ significantly. The lack of data on these fluxes makes it impossible to determine which models performs best. Data limitations remain a significant hurdle in model evaluation, emphasizing the need for additional data collection, particularly upstream and downstream of the reservoir, to enhance reliability and reduce uncertainties.